Your job: reproduce the part of the contents underneath that starts with the line with "-1.29 -0.63" and stops after the one with "0.92 1.22".

'''
[1]
26
Properties=species:S:1:pos:R:3:nbo_charge:R:1 method="wB97M-V/def2-TZVPD" gap_ev=9.4 homo_energy_ha=-0.31090 e_above_lowest_kj_mol=299.28 lumo_energy_ev=0.90
H -3.87 1.19 0.01 0.319
N -3.33 1.14 0.87 -0.750
C -2.08 1.47 0.70 0.205
C -1.45 2.00 -0.56 -0.687
H -1.53 1.70 1.61 0.170
H -2.05 1.75 -1.44 0.208
H -0.46 1.56 -0.68 0.218
H -1.34 3.08 -0.48 0.227
C 2.46 0.69 0.43 -0.429
C 2.40 0.04 -0.72 -0.164
C 3.01 -1.29 -0.99 -0.651
H 2.99 0.28 1.28 0.195
H 2.02 1.66 0.57 0.206
H 1.88 0.50 -1.56 0.195
H 2.24 -2.00 -1.32 0.217
H 3.50 -1.69 -0.11 0.212
H 3.74 -1.22 -1.80 0.222
C -1.18 -1.41 -0.46 -0.427
N -1.29 -0.63 0.77 -0.468
N -0.29 -0.90 1.74 -0.664
H -2.05 -1.19 -1.08 0.205
H -1.14 -2.49 -0.27 0.171
H -0.28 -1.11 -0.99 0.187
H -2.29 -0.66 1.18 0.403
H 0.60 -0.57 1.37 0.357
H -0.19 -1.90 1.91 0.322

[2]
26
Properties=species:S:1:pos:R:3:nbo_charge:R:1 method="wB97M-V/def2-TZVPD" total_charge=+2 gap_ev="8.4 / 8.8" homo_energy_ha="-0.65742 / -0.66160" e_above_lowest_kj_mol=591.16 lumo_energy_ev="-9.53 / -9.25"
C 0.81 1.41 1.43 0.636
C 1.76 0.74 2.26 -0.845
C -0.41 -2.20 0.14 -0.684
C -2.45 -0.98 -0.51 -0.576
C 0.97 1.24 -2.13 -0.390
C -1.12 -0.83 0.26 -0.138
N 0.37 2.60 1.41 -0.714
N -0.48 0.26 -0.43 -0.106
N 0.40 -0.01 -1.49 -0.445
H 2.76 0.52 1.66 0.323
H 1.86 1.13 3.24 0.308
H 1.55 -0.26 2.67 0.333
H -0.35 -2.60 -0.78 0.223
H 0.56 -2.41 0.55 0.240
H -0.93 -2.89 0.84 0.273
H -3.17 -0.14 -0.57 0.254
H -2.86 -1.88 -0.04 0.262
H -2.26 -1.12 -1.49 0.193
H 0.92 1.22 -3.18 0.254
H 0.40 1.95 -1.68 0.227
H 1.96 1.34 -1.86 0.221
H -1.55 -0.60 1.26 0.274
H 0.84 3.49 1.90 0.468
H -0.49 3.01 1.04 0.471
H 1.32 -0.53 -1.41 0.458
H -0.21 -0.32 -2.38 0.480

[3]
32
Properties=species:S:1:pos:R:3:nbo_charge:R:1 method="wB97M-V/def2-TZVPD" total_charge=+2 gap_ev=8.7 homo_energy_ha=-0.55595 e_above_lowest_kj_mol=2.36 lumo_energy_ev=-6.39
H 4.89 -0.92 -0.27 0.361
N 3.97 -1.21 -0.69 -0.130
N 3.10 -0.42 -0.47 -0.130
C 1.80 -0.25 -0.61 0.697
N 1.24 0.27 -1.66 -0.445
N 1.81 0.87 -2.71 0.269
O 1.50 2.37 -2.73 -0.345
C 1.94 3.03 -1.58 -0.311
O 3.17 0.69 -2.81 -0.334
C 3.69 1.07 -4.05 -0.314
O 1.05 -0.52 0.47 -0.586
S -0.60 -0.25 0.30 0.543
C -1.02 -0.01 2.08 -0.555
C -1.83 -1.10 2.72 -0.443
C -3.20 -1.29 2.08 -0.253
N -3.81 -2.52 2.67 -0.732
H 1.13 0.58 -3.47 0.459
H 1.29 4.03 -1.47 0.254
H 2.93 3.55 -1.71 0.210
H 1.86 2.32 -0.78 0.186
H 4.80 1.09 -4.04 0.255
H 3.28 2.04 -4.50 0.229
H 3.39 0.33 -4.80 0.199
H -0.03 0.12 2.48 0.274
H -1.58 0.97 2.12 0.248
H -1.17 -2.05 2.53 0.232
H -2.14 -0.79 3.80 0.241
H -3.04 -1.32 0.99 0.236
H -3.81 -0.36 2.30 0.242
H -3.06 -3.30 2.45 0.473
H -4.73 -2.90 2.17 0.487
H -3.95 -2.18 3.72 0.484

The records above yield DFT total energy values of -402.96018, -402.18314, -1135.57799 Ha, respectively.

* * * * *

No. 1
Entry from OMol25: a 4-piece molecular cluster, C34H48FI2N4O11S overall (the ωB97M-V functional and the def2-TZVPD basis).

## Properties
* total energy: -94264.1230 eV
* charge: +1
* HOMO energy: -11.012 eV
* LUMO level: -3.409 eV
* energy above the lowest of the compared OMol25 structures with the same formula, charge and spin: 0.000 eV

The geometry in XYZ format:
```
101
Properties=species:S:1:pos:R:3:lowdin_charge:R:1
C -2.450 -3.382 -1.347 -0.0615
O -1.642 -2.206 -1.157 -0.2133
C -1.756 -1.774 0.195 -0.1833
C -0.436 -1.197 0.771 -0.2766
C 0.087 -2.060 1.968 -0.6037
I 0.279 -4.171 1.388 0.9489
C -0.647 -2.056 3.335 -0.7489
C -2.126 -2.471 3.359 -0.1894
I 0.362 -3.587 4.550 0.8022
N 0.624 -1.506 -0.248 0.1203
C 1.540 -0.631 -0.353 0.0439
C 1.332 0.629 0.551 -0.1742
C 1.839 1.761 -0.416 -0.0961
C 2.697 2.903 0.182 -0.1801
C 1.933 3.953 0.995 -0.1874
C 2.851 5.173 1.291 -0.2681
N 4.245 4.781 1.526 -0.0111
C 2.295 0.445 1.723 -0.1698
C 3.379 -0.409 1.641 -0.0376
C 4.279 -0.554 2.669 -0.0582
C 4.154 0.144 3.843 -0.0527
C 3.070 0.995 3.946 -0.0527
C 2.190 1.145 2.910 -0.0394
C -0.205 0.363 0.771 -0.1883
C -1.108 1.200 -0.196 -0.1600
C -1.176 0.806 -1.715 -0.3850
S -1.048 2.339 -2.732 1.0404
'''

N -1.29 -0.63 0.77 -0.468
N -0.29 -0.90 1.74 -0.664
H -2.05 -1.19 -1.08 0.205
H -1.14 -2.49 -0.27 0.171
H -0.28 -1.11 -0.99 0.187
H -2.29 -0.66 1.18 0.403
H 0.60 -0.57 1.37 0.357
H -0.19 -1.90 1.91 0.322

[2]
26
Properties=species:S:1:pos:R:3:nbo_charge:R:1 method="wB97M-V/def2-TZVPD" total_charge=+2 gap_ev="8.4 / 8.8" homo_energy_ha="-0.65742 / -0.66160" e_above_lowest_kj_mol=591.16 lumo_energy_ev="-9.53 / -9.25"
C 0.81 1.41 1.43 0.636
C 1.76 0.74 2.26 -0.845
C -0.41 -2.20 0.14 -0.684
C -2.45 -0.98 -0.51 -0.576
C 0.97 1.24 -2.13 -0.390
C -1.12 -0.83 0.26 -0.138
N 0.37 2.60 1.41 -0.714
N -0.48 0.26 -0.43 -0.106
N 0.40 -0.01 -1.49 -0.445
H 2.76 0.52 1.66 0.323
H 1.86 1.13 3.24 0.308
H 1.55 -0.26 2.67 0.333
H -0.35 -2.60 -0.78 0.223
H 0.56 -2.41 0.55 0.240
H -0.93 -2.89 0.84 0.273
H -3.17 -0.14 -0.57 0.254
H -2.86 -1.88 -0.04 0.262
H -2.26 -1.12 -1.49 0.193
H 0.92 1.22 -3.18 0.254